Risk Management (I) Jeffrey Gilbert EcoZD coordinator EcoHealth Workshop, CENPHER, Hanoi 2013 Ecosystem Approaches to the Better Management of Zoonotic Emerging Infectious Diseases in SE Asia
Recap In order for a risk to exist – there must be a hazard – there must also be more than one outcome possible from the situation being considered Four components of Risk analysis are linked in a dynamic & iterative manner
Risk Analysis Components Hazard Identification Risk Assessment Risk Management Risk Communication Exposure Assessment Release Assessment Consequence Assessment
_Unrelated to this entry: records of crystals_
~~~
An optimized crystal structure of MnBeSe2. Source: Alexandria via LeMat-Bulk, functional PBE.

abc: 7.439 7.439 7.439
angles: 154.65 154.46 36.29
Fractional positions:
Mn  0.000  0.000  0.000
Be  0.629  0.129  0.500
Se  0.156  0.656  0.500
Se  0.423  0.423  0.000

Computed properties:
Symmetry: Imm2
ρ, g cm⁻³: 4.855
DOS at the Fermi energy, states/eV/atom: 0.26
ΔE_f (raw), meV/atom: -165.7
~~~
Risk Management - Definitions.. Is the process for controlling risks, weighing alternatives, selecting appropriate action, taking into account risk assessment, values, engineering, economics, legal and political issues. (HNV, Kinshasa).. is the identification, assessment, and prioritization of risks followed by coordinated and economical application of resources to minimize, monitor, and control the probability and/or impact of unfortunate events or to maximize the realization of opportunities (wikipedia) risk management utilises risk assessment results plus the risk managers judgement to balance potential benefits against assessed risks reach decisions on acceptable risk and formulate policy on that basis. Cost-benefit and/or risk-benefit analyses may be included in the decision making process
Risk Management : options ACAT: Avoid, Control, Accept, or Transfer SARA: Share Avoid Reduce Accept Risk Reduction Risk Mitigation
EcoHealth considerations in Risk Management (1) Transdisciplinarity: ‘inbuilt’ Risk Analysis cant be done by vets only; multiple disciplines working together throughout various processes including risk management Systems Thinking: – Systems thinking helps apply some order to the complex reality of health in the context of social–ecological systems (Charron) – Interactions: ecological, social-cultural, economic, and governance – Consideration of scale Participation: also fairly implicit - important to ensure adequate engagement with all stakeholders (eg community level)
EcoHeath considerations in Risk Management (2) Gender and Social Equity: important consideration (occupational; ethnic minorities) Sustainability: important consideration for long-term disease control – adapting short- term measures (eg rabies Bali) Knowledge to Action: also implicit – the ‘real- time’ dynamic nature of risk analysis links knowledge & action
EcoZD Project For more information about the EcoZD project, please visit: